**Job:**
Type out everything underneath verbatim.

**Contents:**
/*
Record 1
{
  "formula": "MgMn2Co2O8",
  "functional": "PBE with a Hubbard U",
  "state": "optimized geometry",
  "energy_corrected_mp2020_ev_per_atom": -7.354,
  "total_magnetization_mub_per_cell": 9.992,
  "energy_ev_per_cell": -83.49,
  "cell": [[-3.113, 1.571, 4.816], [-3.031, 4.963, -0.038], [-2.961, -1.578, -4.718]],
  "species": ["O", "O", "O", "O", "O", "O", "O", "O", "Mn", "Mn", "Co", "Co", "Mg"],
  "fractional_positions": [[0.949, 0.742, 0.211], [0.559, 0.709, 0.787], [0.025, 0.271, 0.270], [0.453, 0.270, 0.748], [0.547, 0.730, 0.252], [0.051, 0.258, 0.789], [0.975, 0.729, 0.730], [0.441, 0.291, 0.213], [0.500, 0.500, 0.000], [0.000, 0.500, 0.500], [0.500, 0.000, 0.000], [0.000, 0.500, 0.000], [0.500, 0.000, 0.500]]
}

Record 2
{
  "formula": "LaMgCrWO6",
  "functional": "PBE with a Hubbard U",
  "state": "optimized geometry",
  "energy_corrected_mp2020_ev_per_atom": -8.603,
  "total_magnetization_mub_per_cell": 10.000,
  "energy_ev_per_cell": -150.94,
  "cell": [[5.653, 0.000, 0.000], [0.000, 5.456, 0.000], [0.000, 5.294, 7.819]],
  "species": ["O", "O", "O", "O", "O", "O", "O", "O", "O", "O", "O", "O", "W", "W", "Mg", "Mg", "La", "La", "Cr", "Cr"],
  "fractional_positions": [[0.558, 0.253, 0.061], [0.976, 0.143, 0.565], [0.443, 0.887, 0.934], [0.276, 0.615, 0.749], [0.802, 0.339, 0.752], [0.035, 0.771, 0.444], [0.965, 0.771, 0.944], [0.198, 0.339, 0.252], [0.557, 0.887, 0.434], [0.024, 0.143, 0.065], [0.724, 0.615, 0.249], [0.442, 0.253, 0.561], [0.247, 0.501, 0.998], [0.753, 0.501, 0.498], [0.802, 0.224, 0.250], [0.198, 0.224, 0.750], [0.708, 0.767, 0.746], [0.292, 0.767, 0.246], [0.250, 0.000, 0.501], [0.750, 0.000, 0.001]]
}

Record 3
{
  "formula": "Li5Ti2Ni3O10",
  "functional": "PBE with a Hubbard U",
  "state": "optimized geometry",
  "energy_corrected_mp2020_ev_per_atom": -6.925,
  "total_magnetization_mub_per_cell": 5.000,
  "energy_ev_per_cell": -124.02,
  "cell": [[5.099, 0.139, 0.108], [-1.091, 5.017, -0.163], [-1.576, -2.685, 7.077]],
  "species": ["O", "O", "O", "O", "O", "O", "O", "O", "O", "O", "Li", "Li", "Li", "Li", "Li", "Ni", "Ni", "Ni", "Ti", "Ti"],
  "fractional_positions": [[0.135, 0.321, 0.541], [0.050, 0.082, 0.844], [0.865, 0.679, 0.459], [0.221, 0.488, 0.230], [0.562, 0.111, 0.342], [0.675, 0.304, 0.058], [0.779, 0.512, 0.770], [0.325, 0.696, 0.942], [0.950, 0.918, 0.156], [0.438, 0.889, 0.658], [0.410, 0.302, 0.798], [0.784, 0.099, 0.604], [0.590, 0.698, 0.202], [0.216, 0.901, 0.396], [0.500, 0.500, 0.500], [0.302, 0.107, 0.100], [0.698, 0.893, 0.900], [0.000, 0.500, 0.000], [0.894, 0.283, 0.307], [0.106, 0.717, 0.693]]
}

Record 4
{
  "formula": "CaLa3Mn4O10",
  "functional": "PBE with a Hubbard U",
  "state": "optimized geometry",
  "energy_corrected_mp2020_ev_per_atom": -8.612,
  "total_magnetization_mub_per_cell": 38.001,
  "energy_ev_per_cell": -282.94,
  "cell": [[-2.062, 3.213, 4.126], [3.378, -2.722, 3.808], [14.892, 8.170, 1.078]],
  "species": ["O", "O", "O", "O", "O", "O", "O", "O", "O", "O", "O", "O", "O", "O", "O", "O", "O", "O", "O", "O", "La", "La", "La", "La", "La", "La", "Ca", "Ca", "Mn", "Mn", "Mn", "Mn", "Mn", "Mn", "Mn", "Mn"],
  "fractional_positions": [[0.962, 0.756, 0.016], [0.703, 0.951, 0.636], [0.977, 0.309, 0.480], [0.322, 0.353, 0.248], [0.215, 0.057, 0.864], [0.475, 0.689, 0.020], [0.785, 0.057, 0.364], [0.709, 0.729, 0.859], [0.200, 0.270, 0.639], [0.823, 0.646, 0.251], [0.291, 0.729, 0.359], [0.023, 0.309, 0.980], [0.525, 0.689, 0.520], [0.177, 0.646, 0.751], [0.297, 0.951, 0.136], [0.800, 0.270, 0.139], [0.461, 0.251, 0.478], [0.539, 0.251, 0.978], [0.038, 0.756, 0.516], [0.678, 0.353, 0.748], [0.722, 0.628, 0.392], [0.780, 0.099, 0.884], [0.282, 0.905, 0.615], [0.718, 0.905, 0.115], [0.220, 0.099, 0.384], [0.278, 0.628, 0.892], [0.787, 0.362, 0.614], [0.213, 0.362, 0.114], [0.798, 0.699, 0.746], [0.303, 0.302, 0.749], [0.697, 0.302, 0.249], [0.751, 0.497, 0.004], [0.249, 0.497, 0.504], [0.202, 0.699, 0.246], [0.249, 0.999, 0.004], [0.751, 0.999, 0.504]]
}
*/

**Reply:**
Record 1
{
  "formula": "MgMn2Co2O8",
  "functional": "PBE with a Hubbard U",
  "state": "optimized geometry",
  "energy_corrected_mp2020_ev_per_atom": -7.354,
  "total_magnetization_mub_per_cell": 9.992,
  "energy_ev_per_cell": -83.49,
  "cell": [[-3.113, 1.571, 4.816], [-3.031, 4.963, -0.038], [-2.961, -1.578, -4.718]],
  "species": ["O", "O", "O", "O", "O", "O", "O", "O", "Mn", "Mn", "Co", "Co", "Mg"],
  "fractional_positions": [[0.949, 0.742, 0.211], [0.559, 0.709, 0.787], [0.025, 0.271, 0.270], [0.453, 0.270, 0.748], [0.547, 0.730, 0.252], [0.051, 0.258, 0.789], [0.975, 0.729, 0.730], [0.441, 0.291, 0.213], [0.500, 0.500, 0.000], [0.000, 0.500, 0.500], [0.500, 0.000, 0.000], [0.000, 0.500, 0.000], [0.500, 0.000, 0.500]]
}

Record 2
{
  "formula": "LaMgCrWO6",
  "functional": "PBE with a Hubbard U",
  "state": "optimized geometry",
  "energy_corrected_mp2020_ev_per_atom": -8.603,
  "total_magnetization_mub_per_cell": 10.000,
  "energy_ev_per_cell": -150.94,
  "cell": [[5.653, 0.000, 0.000], [0.000, 5.456, 0.000], [0.000, 5.294, 7.819]],
  "species": ["O", "O", "O", "O", "O", "O", "O", "O", "O", "O", "O", "O", "W", "W", "Mg", "Mg", "La", "La", "Cr", "Cr"],
  "fractional_positions": [[0.558, 0.253, 0.061], [0.976, 0.143, 0.565], [0.443, 0.887, 0.934], [0.276, 0.615, 0.749], [0.802, 0.339, 0.752], [0.035, 0.771, 0.444], [0.965, 0.771, 0.944], [0.198, 0.339, 0.252], [0.557, 0.887, 0.434], [0.024, 0.143, 0.065], [0.724, 0.615, 0.249], [0.442, 0.253, 0.561], [0.247, 0.501, 0.998], [0.753, 0.501, 0.498], [0.802, 0.224, 0.250], [0.198, 0.224, 0.750], [0.708, 0.767, 0.746], [0.292, 0.767, 0.246], [0.250, 0.000, 0.501], [0.750, 0.000, 0.001]]
}

Record 3
{
  "formula": "Li5Ti2Ni3O10",
  "functional": "PBE with a Hubbard U",
  "state": "optimized geometry",
  "energy_corrected_mp2020_ev_per_atom": -6.925,
  "total_magnetization_mub_per_cell": 5.000,
  "energy_ev_per_cell": -124.02,
  "cell": [[5.099, 0.139, 0.108], [-1.091, 5.017, -0.163], [-1.576, -2.685, 7.077]],
  "species": ["O", "O", "O", "O", "O", "O", "O", "O", "O", "O", "Li", "Li", "Li", "Li", "Li", "Ni", "Ni", "Ni", "Ti", "Ti"],
  "fractional_positions": [[0.135, 0.321, 0.541], [0.050, 0.082, 0.844], [0.865, 0.679, 0.459], [0.221, 0.488, 0.230], [0.562, 0.111, 0.342], [0.675, 0.304, 0.058], [0.779, 0.512, 0.770], [0.325, 0.696, 0.942], [0.950, 0.918, 0.156], [0.438, 0.889, 0.658], [0.410, 0.302, 0.798], [0.784, 0.099, 0.604], [0.590, 0.698, 0.202], [0.216, 0.901, 0.396], [0.500, 0.500, 0.500], [0.302, 0.107, 0.100], [0.698, 0.893, 0.900], [0.000, 0.500, 0.000], [0.894, 0.283, 0.307], [0.106, 0.717, 0.693]]
}

Record 4
{
  "formula": "CaLa3Mn4O10",
  "functional": "PBE with a Hubbard U",
  "state": "optimized geometry",
  "energy_corrected_mp2020_ev_per_atom": -8.612,
  "total_magnetization_mub_per_cell": 38.001,
  "energy_ev_per_cell": -282.94,
  "cell": [[-2.062, 3.213, 4.126], [3.378, -2.722, 3.808], [14.892, 8.170, 1.078]],
  "species": ["O", "O", "O", "O", "O", "O", "O", "O", "O", "O", "O", "O", "O", "O", "O", "O", "O", "O", "O", "O", "La", "La", "La", "La", "La", "La", "Ca", "Ca", "Mn", "Mn", "Mn", "Mn", "Mn", "Mn", "Mn", "Mn"],
  "fractional_positions": [[0.962, 0.756, 0.016], [0.703, 0.951, 0.636], [0.977, 0.309, 0.480], [0.322, 0.353, 0.248], [0.215, 0.057, 0.864], [0.475, 0.689, 0.020], [0.785, 0.057, 0.364], [0.709, 0.729, 0.859], [0.200, 0.270, 0.639], [0.823, 0.646, 0.251], [0.291, 0.729, 0.359], [0.023, 0.309, 0.980], [0.525, 0.689, 0.520], [0.177, 0.646, 0.751], [0.297, 0.951, 0.136], [0.800, 0.270, 0.139], [0.461, 0.251, 0.478], [0.539, 0.251, 0.978], [0.038, 0.756, 0.516], [0.678, 0.353, 0.748], [0.722, 0.628, 0.392], [0.780, 0.099, 0.884], [0.282, 0.905, 0.615], [0.718, 0.905, 0.115], [0.220, 0.099, 0.384], [0.278, 0.628, 0.892], [0.787, 0.362, 0.614], [0.213, 0.362, 0.114], [0.798, 0.699, 0.746], [0.303, 0.302, 0.749], [0.697, 0.302, 0.249], [0.751, 0.497, 0.004], [0.249, 0.497, 0.504], [0.202, 0.699, 0.246], [0.249, 0.999, 0.004], [0.751, 0.999, 0.504]]
}